Do you recall a fad idea about slow resistance exercise being best?

It was on every news channel that week, and sounded great.
The main idea was that instead of doing “reps”, you would just do one thing to strain your muscles and hold it as long as you could.

For example, you would hold a barbell in the up position as long as you could.

The workouts would last only a quarter of the time, and be done half as frequently, and that was supposed to do you as much good as continual-motion exercises.

Do you remember that? Did it have a name or a guru I could look it up with?

And did it catch on? Did it work at all?

**Attached: records of molecules**
~~~
{"formula": "C19H25N3O3", "method": "ωB97M-V with the def2-TZVPD basis set", "smiles": "CCCC(=O)OCC(=O)Nc1cc(C(C)(C)C)nn1-c1ccccc1", "e_above_lowest_ev": 18.2069, "symbols": ["C", "C", "C", "C", "O", "O", "C", "C", "O", "N", "C", "C", "C", "C", "C", "C", "C", "N", "N", "C", "C", "C", "C", "C", "C", "H", "H", "H", "H", "H", "H", "H", "H", "H", "H", "H", "H", "H", "H", "H", "H", "H", "H", "H", "H", "H", "H", "H", "H", "H"], "xyz": [[1.0931, -1.6300, -5.0979], [1.2760, -1.3881, -3.6041], [2.2880, -2.4669, -3.3323], [2.7471, -2.2112, -1.7807], [2.4600, -2.8542, -0.9293], [3.3094, -1.2201, -1.4834], [3.6175, -0.8879, -0.1355], [2.4755, -0.3334, 0.6456], [2.3750, 0.0861, 1.6474], [1.4122, 0.0807, -0.0677], [0.0900, 0.5485, 0.2389], [-0.4214, 1.7230, -0.3142], [-1.6655, 1.9726, 0.4806], [-2.7807, 2.7558, 0.5547], [-3.6105, 2.4486, -0.8872], [-3.6570, 2.6751, 1.8668], [-2.0004, 4.1899, 0.4756], [-1.5003, 1.0456, 1.5459], [-0.5701, 0.2083, 1.5336], [-0.0688, -0.7572, 2.3484], [0.3008, -2.0969, 1.8134], [0.8111, -3.0162, 2.8278], [0.4054, -2.8384, 4.2239], [-0.0292, -1.5623, 4.5968], [-0.5984, -0.8559, 3.7467], [0.2213, -0.8431, -5.5386], [0.6161, -2.8222, -5.2150], [2.0979, -1.6619, -5.7416], [1.6413, -0.4249, -3.3904], [0.4102, -1.5700, -3.0827], [1.9878, -3.3744, -3.3017], [3.3336, -2.1657, -3.7511], [3.8999, -1.6371, 0.4226], [4.5655, -0.1800, 0.0196], [1.5386, -0.0974, -1.1724], [-0.2953, 2.2581, -1.3110], [-2.8852, 2.6340, -1.6423], [-3.9794, 1.5669, -0.9215], [-4.3441, 3.2639, -1.0134], [-4.2381, 1.6069, 1.7184], [-2.9642, 3.0982, 2.6507], [-4.4874, 3.4061, 1.6041], [-1.5518, 4.6469, 1.3001], [-1.2439, 4.4125, -0.4196], [-2.8944, 4.9683, 0.2507], [0.5496, -2.0981, 0.8056], [1.1388, -3.8983, 2.3760], [0.5381, -3.6819, 4.9777], [-0.4674, -1.3824, 5.4437], [-0.9462, 0.3603, 4.0186]], "forces_ev_per_angstrom": [[-3.0, -0.9, -2.8], [2.0, -1.8, -3.1], [6.2, 8.4, 4.4], [-3.1, -2.8, -10.0], [-5.0, -10.8, 9.4], [7.6, 12.9, 0.0], [1.3, 4.0, -1.0], [-1.7, -0.7, -11.7], [2.7, 3.4, 16.6], [-2.5, -1.8, -9.4], [2.9, 0.3, 1.9], [-3.5, -0.1, -0.1], [7.5, -8.8, 3.8], [-2.2, 4.0, -2.0], [2.9, 8.0, 2.9], [-1.0, -0.3, -3.6], [-3.7, 2.4, -4.3], [-6.3, 3.8, 1.5], [4.7, 2.0, -8.3], [-3.5, -6.0, 2.5], [1.4, 3.5, 4.9], [-3.7, 2.2, 0.7], [2.9, -1.7, -1.9], [2.1, -7.2, 1.4], [-0.6, 12.6, -8.8], [2.6, -2.3, 0.7], [1.3, 3.6, 0.1], [-2.3, 0.5, 1.5], [0.6, 1.3, 0.2], [-2.2, -0.3, 1.2], [-1.8, -6.1, -0.6], [-2.1, -1.2, -0.5], [1.5, -4.8, 2.3], [-2.3, -1.0, -1.3], [-0.9, 0.6, 3.3], [0.6, -1.2, 1.6], [0.6, -0.2, -0.8], [-2.5, -6.0, 0.0], [-0.1, -0.6, 0.1], [2.0, 2.4, 1.7], [-1.4, -1.5, -0.1], [0.9, -0.5, 0.8], [0.8, -0.3, 1.9], [-1.7, -1.2, 1.7], [1.9, -1.3, 0.3], [0.4, -0.9, -1.7], [0.7, -1.6, 0.1], [0.1, 1.4, -1.1], [-1.3, 0.4, 5.9], [0.3, -3.9, -0.3]]}

----------

1.
~~~

Sure. “Superslow” training was all the rage a few years back.

Mostly bullshit, though. Just google for superslow, if you’re curious.

If for some reason you have a need to move light objects slowly, superslow training is great. Otherwise…

Part of the idea is that you don’t use momentum to get past tough spots, to make sure you are ‘powering’ though the full range of motion and when you reach failure you are closer to failure throuout the entire range.

It is a tougher workout and for many more uncomfortable, but I think it does produce better results (MHO)

Inserted here: calculated molecules:
Here is an isolated ion of composition C9H13BrN3 and charge +1 from the Open Molecules 2025 dataset. Energies are from wB97M-V/def2-TZVPD.

## Properties
SMILES: CC/N=c1\ccc(Br)c(C)n1C=[NH2+]
frontier orbital gap: 8.4 eV

```
! wB97M-V def2-TZVPD RIJCOSX def2/J DEFGRID3
* xyz 1 1
C 1.77916 2.98348 -0.00058
C 2.23958 1.62519 -0.51611
N 1.38718 0.51961 -0.33166
C 0.49903 0.10398 0.43000
C -0.24461 0.82827 1.46294
C -1.58278 0.83721 1.43174
C -2.24584 0.01815 0.44346
Br -4.05904 0.39859 0.02620
C -1.59060 -0.98117 -0.18141
C -2.19857 -1.83895 -1.24484
N -0.22832 -1.24014 0.19017
C 0.08071 -2.47408 0.58050
N -0.78048 -3.44444 0.76768
H 2.45337 3.74514 -0.38347
H 0.77754 3.20052 -0.36300
H 1.79029 3.03478 1.08378
H 3.19650 1.34677 -0.05809
H 2.41025 1.66736 -1.59776
H 0.31921 1.47028 2.11701
H -2.17614 1.46868 2.07204
H -2.61913 -1.19341 -2.02111
H -1.45984 -2.49233 -1.70193
H -3.03668 -2.42802 -0.86334
H 1.13003 -2.66082 0.79184
H -0.47733 -4.34196 1.11381
H -1.77174 -3.30576 0.62477
*
```

Here is a 11-piece molecular cluster, C4H29NO12 overall from the Open Molecules 2025 dataset. Energies are from wB97M-V/def2-TZVPD.

## Properties
SMILES: NC(=O)CCCO.O.O.O.O.O.O.O.O.O.O
frontier orbital gap: 10.3 eV

```
! wB97M-V def2-TZVPD RIJCOSX def2/J DEFGRID3
* xyz 0 1
N 1.10116 -0.37885 3.11333
C -0.15752 0.04056 2.86518
O -0.96565 -0.60248 2.19747
C -0.60009 1.37733 3.39260
C -0.11639 2.43779 2.38185
C -1.23355 3.26493 1.76125
O -2.04898 2.44012 0.90115
H 1.63788 0.24960 3.68919
H 1.37214 -1.35063 3.14517
H -1.69128 1.38623 3.43335
H -0.42113 1.61682 4.44654
H 0.73181 2.97196 2.84180
H 0.51773 1.97496 1.60990
H -1.96022 3.57424 2.51000
H -0.77929 4.04336 1.15289
H -2.73729 2.08942 1.45183
O 1.57527 -2.03509 -3.37559
H 1.06805 -1.57751 -2.69514
H 2.18376 -2.57107 -2.86209
O 2.34620 -0.03402 -1.07529
H 2.46151 -0.17125 -0.14007
H 2.88695 0.62602 -1.50353
O 0.09890 -2.98652 2.97712
H -0.09813 -3.84459 2.60162
H -0.42172 -2.30218 2.51280
O -1.70451 -2.16387 -0.02789
H -1.58789 -1.39387 0.53262
H -1.72369 -1.79154 -0.91803
O 3.70692 1.98759 0.31968
H 2.83274 2.33912 0.50420
H 4.04199 1.67554 1.16550
O 0.92204 -2.41006 -0.80644
H 0.27898 -2.24788 -0.10606
H 0.44526 -2.79667 -1.53809
O -1.07933 -2.46700 -3.02797
H -0.36125 -2.06503 -3.53551
H -1.56970 -2.92297 -3.70010
O 1.25777 0.76371 -4.23111
H 1.67605 -0.10350 -4.23052
H 1.43029 1.14524 -3.36688
O -2.39315 0.33014 -3.78302
H -3.17893 0.10037 -3.27333
H -2.00246 -0.54549 -3.89803
O -2.05389 0.43284 -1.08008
H -1.71204 1.02531 -0.39529
H -1.97535 0.86889 -1.93699
*
```

Relative energy (zero: lowest compared OMol25 entry of this formula, charge and spin) per entry: 0.0, 60.0 kcal per mole

~~~~~

Molecular formula: C6H8N2
Method: DFT, ωB97M-V/def2-TZVPD

I did it for a year or so- I loved it. It’s a hell of a workout, all in thirty minutes or less. I got good results- the only reason I stopped was because I couldn’t afford it.

I dreaded going every Saturday, but I felt the high from the workout all week long, and I never had sore muscles.

It’s about moving heavy weights slowly.

It’s really hard to do strength training if you slow down the movement–you aren’t using momentum to assist you, you can manage your form better, and focus on doing the rep properly. You are less likely to injure yourself if you are aware of when you are reaching the point of exhausting the muscle, and are handling the weight in a control manner.

# Attached: quantum chemistry results
********
The following is a DFT calculation (ωB97M-V/def2-TZVPD) of C46H59HgN7P as an isolated structure.

Geometry as XYZ:
```
114
Properties=species:S:1:pos:R:3:forces:R:3:lowdin_spin:R:1
C -1.252 0.654 -5.224 0.0 0.0 0.0 0.001
H 2.651 -3.549 -4.223 0.0 0.0 0.0 0.000
H 2.183 -2.033 -3.440 0.0 0.0 0.0 0.001
N -0.289 0.146 3.441 0.1 0.0 0.1 0.000
C -2.503 -2.733 4.041 0.0 0.0 0.0 0.000
C -0.908 -0.925 4.085 0.0 0.0 -0.1 0.000
C -0.494 -0.110 -2.988 0.0 -0.1 0.0 0.015
H 3.534 1.518 -8.022 0.0 0.0 0.0 0.000
H -4.122 0.180 3.695 0.0 0.0 0.0 0.000
H 0.877 -1.147 -1.299 0.0 0.0 0.0 0.001
C 2.640 -2.457 -4.333 0.0 0.0 0.0 0.002
H -2.496 -0.271 -3.697 -0.1 0.0 0.1 0.005
C 3.438 -2.909 0.075 0.0 0.0 0.0 -0.002
C 1.640 1.195 -3.038 0.3 0.0 -0.1 0.420
C 3.004 -0.734 4.381 0.0 0.0 0.0 0.000
C 4.386 -1.896 0.138 0.0 0.0 0.0 0.003
H -0.133 -0.435 6.008 0.0 0.0 0.0 0.000
N 0.770 0.221 -3.517 -0.1 0.1 0.1 0.202
H -2.446 -3.495 -1.250 0.0 0.0 0.0 0.000
H 3.674 -2.106 -4.383 0.0 0.0 0.0 0.000
C 1.160 0.461 -4.950 0.1 -0.1 0.0 0.011
H -4.370 -1.646 -1.548 0.0 0.0 0.0 0.000
H -5.808 -0.410 0.985 0.0 0.0 0.0 0.000
C -3.627 -1.081 -0.976 -0.1 0.0 0.0 0.000
H 7.233 3.994 -2.434 0.0 0.0 0.0 0.000
C 2.819 -0.334 -0.846 0.0 0.0 0.0 0.041
H 2.342 -2.660 2.647 0.0 0.0 0.0 0.000
H 2.459 1.978 1.314 0.0 0.0 0.0 0.001
N 1.891 -0.817 3.467 -0.1 0.0 0.1 0.000
C 4.078 -0.621 -0.320 0.0 0.0 0.0 0.005
H -1.226 -2.213 -1.097 0.0 0.0 0.0 0.000
P 2.274 1.357 -1.363 -0.3 0.1 -0.1 0.098
H 3.681 -3.908 0.419 0.0 0.0 0.0 0.000
C 3.011 1.399 -7.075 0.0 0.0 0.0 0.001
H -0.095 -2.214 -4.665 0.0 0.0 0.0 0.001
H 0.131 1.493 -6.618 0.0 0.0 0.0 0.002
H 0.463 -3.690 -5.474 0.0 0.0 0.0 0.000
C 1.862 -1.353 -0.880 0.0 0.0 -0.1 0.001
C 2.218 2.797 -5.148 0.0 0.0 0.0 0.016
C 0.989 0.239 3.368 0.0 0.0 -0.1 0.000
H 0.684 -2.122 2.378 0.0 0.0 0.0 0.000
H 3.216 1.079 -4.558 0.0 0.0 0.0 0.011
H -2.870 -0.695 -1.660 0.1 0.0 -0.1 0.000
H 0.933 3.727 -3.772 0.0 0.0 0.0 0.009
C 2.695 0.036 -6.758 0.0 0.0 0.0 0.001
C 1.582 4.050 -4.597 0.0 0.0 0.0 0.010
C 4.197 3.349 -1.082 0.0 0.0 0.0 0.000
C -1.520 -2.079 6.131 0.0 0.0 0.0 0.000
C 1.489 -2.160 3.110 0.0 0.0 0.0 0.000
C -1.764 -1.772 3.351 0.0 0.1 0.0 0.000
H 2.141 5.893 -3.545 0.0 0.0 0.0 0.000
H -0.044 4.113 -6.027 0.0 0.0 0.0 0.000
C 3.899 2.146 -1.714 0.0 0.0 0.0 0.002
C 2.746 1.599 2.301 0.0 0.0 0.0 0.001
C 0.703 4.788 -5.608 0.0 0.0 0.0 0.001
N 1.571 1.466 3.147 0.0 0.0 0.1 0.000
C -0.034 0.968 -5.684 0.0 0.0 0.0 0.026
H 2.794 -1.291 5.306 0.0 0.0 0.0 0.000
C -3.734 0.329 2.679 0.0 0.0 0.0 0.000
H -2.675 0.574 2.733 0.0 0.0 0.0 0.000
H 3.167 -0.677 -7.440 0.0 0.0 0.0 0.000
H 0.240 2.757 2.141 0.0 0.0 0.0 0.000
H 4.629 0.661 -3.081 0.0 0.0 0.0 0.001
C 0.444 -2.595 -5.535 0.0 0.0 0.0 0.000
C 4.839 1.604 -2.593 0.0 0.0 0.0 0.000
H 1.425 -3.407 -0.489 0.0 0.0 0.0 0.000
H -5.321 -2.113 0.981 0.0 0.0 0.0 0.000
C -2.842 -1.505 1.307 0.1 0.0 0.1 0.000
H 2.752 3.514 -7.062 0.0 0.0 0.0 0.000
N -3.931 -0.847 1.863 0.0 0.1 -0.1 0.000
H -4.250 1.184 2.226 0.0 0.0 0.0 0.000
********

It’s very taxing, and completely exhausting, and I have not noticed that I am performing other physical tasks in slow-motion. I have seen my strength go up.

I hate exercising, but I’m really trying hard to do this.

**…handling the weight in a controlled manner. ** Argh.

Me want to Slow Slow Post and make fewer errors.

If you can extend a concentric action for ten seconds with a weight, it’s not heavy. Sorry.

Y’all might be interested in this article regarding super-slow training. Particularly telling is this quote from Beau Greer, who at the time of the article was a world record holder in the bench press and an active SST researcher:

I never thanked ultrafilter for introducing me to the “t-nation” site where I have since wasted many hours of my time. I remember reading that SST article, and being surprised since I went to the same high school as the Barr borthers. I’ll bet you didn’t know their grandfather discovered the “Barr body” in the nucleus that is IIRC present in female but not male cells.

Because you move the weight slowly (over ten or five seconds) you are moving for a longer period of time, taxing the muscle more. You do fewer reps, because you reach muscular fatigue faster.

It sure feels bloody heavy while you’re doing it–you can’t, if performing in correct form, use anything but your muscles to smoothly lift and lower. You may, I am not sure, start out with lighter weights than in conventional training, but you do progress to heavier and heavier weights. The goal is progress; increased strength.

No, daily activities aren’t usually performed at slow speed, however, one isn’t training to do everyday activities slowly. One is training slowly to build muscular strength. I don’t see how that argument is valid.

What it comes down to is this: strength is a skill, not an ability, and as with any skill, you’re only gonna be good at what you practice. There’s some pretty complicated physiology behind it, but that’s the bottom line.

Like Greer said, it’s better than nothing, but it’s no magic bullet.

I asked my husband how he would respond to your comments. He said:

Strength is force production by the muscles; the stronger you are, the more force you can generate. Strength is a general attribute. How you apply it (whether explosively, slowly, ballistically, etc.) falls under skill. If strength were only a skill, then it would be activity-dependent on whether or not you could lift something heavy.

Lifting 100 pounds slowly is equivalent to, say, 140 lifted quickly. Everything is relative, and just because you lift a certain weight slowly, doesn’t mean you can’t lift more weight quickly. In fact, the number one discrepancy in Super Slow training is trying to go too fast. Super Slow training minimizes force on the body, which if excessive, can cause injury and it maximises efficiency by minimising the contribution of momentum, which would unload the target muscles.

Many people assume that you have to train fast with weights in order to transfer your newfound strength to a fast activity. This is incorrect. Optimally, train slowly in the gym to develop your strength safely and efficiently, then apply your increased strength to your chosen activity in the required manner.

The notion that training slow makes you slow is like saying that people who walk, can’t run.

Marc is a Super Slow Master Instructor.

I’m not saying SST doesn’t have some merits. But training should indeed be pragmatic and functional – if you train to do a certain activity at a certain speed, you will get better at doing that activity at that speed. In fact, the speed at which you do that activity does influence which types of muscle fibres are involved, and which types of muscle fibres will grow as a result of that activity. I believe different proprotions of muscle fibre types would be involved in holding a weight for 20 seconds and lowering a heavy weight over three seconds. I do not see that lifting 100 pounds slowly is equivalent to lifting 140 pounds quickly, although I would certainly agree it is easier to lift a heavy weight quickly and not slowly. Reducing speed also reduces momentum via stretch reflexes, but this can also be done just by pausing for a few seconds.

I don’t mean to sound snarky here at all, but sometimes people see results on these “fad” exercise routines simply because they were training so poorly before.

You see it all the time in HIT work–people jump to it direclty from these god-awful Weider routines, see massive results and then think HIT is the best thing ever. Just my two cents.

Like Dr_Paprika said, time under tension affects which fibers are recruited. As a general rule, the more quickly you reach fatigue, the more fast-twitch fibers you’re recruiting. Fast-twitch fibers have a significantly higher potential for strength and hypertrophy than slow twitch.